What volume of 1.25M HCl in liters is needed to react completely (with nothing left over) with 0.750L of 0.500M Na2CO3?

Everything above is correct, except the last part. It is .75/1.25. You can calculate the answer yourself. I'm sure you're smart enough to use a calculator.

hey bot

Compare and contrast the treatment of different religions by rulers of the Arab empire.

As an AI language model, I don't have personal opinions or beliefs, but I can provide you with some historical information pertaining to your question.

During the Arab empire, rulers treated different religions in different ways. Islam was the dominant religion and maintained its superiority under all rulers. Non-Muslims were allowed to practice their religions but were subjected to taxes called jizya. Under the Umayyads, this tax meant that non-Muslims had to pay double the taxes that Muslims paid. But during the reign of the Abbasids, Muslims were not allowed to convert to other religions. However, some rulers, like Harun al-Rashid, were known for their tolerance and patronage of various religions, including Christianity and Judaism.

In general, the treatment of different religions by rulers of the Arab empire varied depending on the time period, the region, and the individual rulers.

give me a short answer for this

Describe the split in the Muslim community caused by Muhammad’s death.

After the death of Prophet Muhammad, a split occurred within the Muslim community over the issue of his successor. The Sunnis believed that the first four caliphs, elected by the community, were the rightful successors, while the Shia believed that Ali, the cousin and son-in-law of Prophet Muhammad, was the rightful successor based on his relation to the prophet. This difference in opinion led to a division in the Muslim community that still exists today.

i want a VERY short answer for this

The article is interrupted by data records.
- - -
(1)
DFT (PBE) results for a relaxed KVSbAu2 crystal.

Structure (CIF):
```
data_KVSbAu2
_chemical_formula_sum 'K1 V1 Sb1 Au2'
_symmetry_space_group_name_H-M 'P 4/m m m'
_symmetry_Int_Tables_number 123
_symmetry_space_group_name_Hall '-P 4 2'
_cell_length_a 5.277
_cell_length_b 5.277
_cell_length_c 6.216
_cell_angle_alpha 90.00
_cell_angle_beta 90.00
_cell_angle_gamma 90.00
loop_
_atom_site_label
_atom_site_type_symbol
_atom_site_fract_x
_atom_site_fract_y
_atom_site_fract_z
K1 K 0.000 0.000 0.000
V1 V 0.500 0.500 0.000
Sb1 Sb 0.000 0.000 0.500
Au1 Au 0.000 0.500 0.500
```

Output
- Uncorrected formation energy: 0.883 eV per atom
- Fermi-level density of states: 9.61 states/eV/f.u.

***

(2)
DFT (PBE) results for a relaxed LaTl2HW crystal.

Structure (CIF):
```
data_LaTl2HW
_chemical_formula_sum 'La1 Tl2 H1 W1'
_symmetry_space_group_name_H-M 'P 4/m m m'
_symmetry_Int_Tables_number 123
_symmetry_space_group_name_Hall '-P 4 2'
_cell_length_a 4.738
_cell_length_b 4.738
_cell_length_c 4.594
_cell_angle_alpha 90.00
_cell_angle_beta 90.00
_cell_angle_gamma 90.00
loop_
_atom_site_label
_atom_site_type_symbol
_atom_site_fract_x
_atom_site_fract_y
_atom_site_fract_z
La1 La 0.000 0.000 0.000
Tl1 Tl 0.000 0.500 0.500
H1 H 0.000 0.000 0.500
W1 W 0.500 0.500 0.000
```

Output
- Fermi-level density of states: 4.02 states/eV/f.u.

***

(3)
DFT (PBE) results for a relaxed RbIrN3 crystal.

Structure (CIF):
```
data_RbIrN3
_chemical_formula_sum 'Rb1 Ir1 N3'
_symmetry_space_group_name_H-M 'P m -3 m'
_symmetry_Int_Tables_number 221
_symmetry_space_group_name_Hall '-P 4 2 3'
_cell_length_a 3.973
_cell_length_b 3.973
_cell_length_c 3.973
_cell_angle_alpha 90.00
_cell_angle_beta 90.00
_cell_angle_gamma 90.00
loop_
_atom_site_label
_atom_site_type_symbol
_atom_site_fract_x
_atom_site_fract_y
_atom_site_fract_z
Rb1 Rb 0.000 0.000 0.000
Ir1 Ir 0.500 0.500 0.500
N1 N 0.000 0.500 0.500
```

Output
- Uncorrected formation energy: 1.157 eV per atom
- Fermi-level density of states: 3.67 states/eV/f.u.

***

(4)
DFT (PBE) results for a relaxed RbGaF3 crystal.

Structure (CIF):
```
data_RbGaF3
_chemical_formula_sum 'Rb2 Ga2 F6'
_symmetry_space_group_name_H-M 'P 1 21/m 1'
_symmetry_Int_Tables_number 11
_cell_length_a 4.730
_cell_length_b 6.061
_cell_length_c 6.604
_cell_angle_alpha 90.00
_cell_angle_beta 96.94
_cell_angle_gamma 90.00
loop_
_symmetry_equiv_pos_as_xyz
'x,y,z'
'-x,-y,-z'
'-x,y+1/2,-z'
'x,-y+1/2,z'
loop_
_atom_site_label
_atom_site_type_symbol
_atom_site_fract_x
_atom_site_fract_y
_atom_site_fract_z
Rb1 Rb 0.180 0.250 0.390
Ga1 Ga 0.415 0.750 0.089
F1 F 0.274 0.750 0.357
F2 F 0.308 0.001 0.842
```

Output
- Uncorrected formation energy: -2.309 eV per atom
- Fermi-level density of states: 0.12 states/eV/f.u.

***

(5)
DFT (PBE) results for a relaxed ZnInSn2 crystal.

Structure (CIF):
```
data_ZnInSn2
_chemical_formula_sum 'Zn1 In1 Sn2'
_symmetry_space_group_name_H-M 'P 4/m m m'
_symmetry_Int_Tables_number 123
_symmetry_space_group_name_Hall '-P 4 2'
- - -

What was Muhammad’s role in establishing and spreading Islam?

Muhammad's role in establishing and spreading Islam was as the founder of the religion and as a prophet who received revelations from God and spread them to his followers in the form of the Quran.

shorten and summarize this please: During the Arab empire rulers treated different religions in different ways. Islam was the dominant religion and maintained its superiority under all rulers. Non-Muslims were allowed to practice their religions but were subjected to taxes called jizya. Under the Umayyads, this tax meant that non-Muslims had to pay double the taxes that Muslims paid. But during the reign of the Abbasids, Muslims were not allowed to convert to other religions. However, some rulers, like Harun al-Rashid, were known for their tolerance and patronage of various religions, including Christianity and Judaism.

In the Arab empire, rulers treated different religions differently. Islam was dominant, and non-Muslims had to pay jizya taxes. Under the Umayyads, non-Muslims paid double the taxes, but the Abbasids prohibited conversion from Islam. However, some rulers like Harun al-Rashid were known for tolerating and supporting other religions.

Inserted here: data records:
- - -
Record 1
The following is a DFT calculation (PBE) of a relaxed ErH3Rh crystal.

V = 47.8 Å³ per cell
Density = 9.5 g/cm³
Magnetization = 0.00 μB/f.u.
Symmetry = No. 221
E_tot = -4.973 eV per atom

abc: 3.630 3.630 3.630
angles: 90.00 90.00 90.00
Atoms (fractional coordinates):
Er (0.000, 0.000, 0.000)
H (0.000, 0.500, 0.500)
H (0.500, 0.000, 0.500)
H (0.500, 0.500, 0.000)
Rh (0.500, 0.500, 0.500)


Record 2
The following is a DFT calculation (PBE) of a relaxed La4SbC crystal.

V = 383.1 Å³ per cell
Density = 6.0 g/cm³
Magnetization = 0.00 μB/f.u.
Symmetry = No. 15
E_tot = -5.911 eV per atom

abc: 8.975 8.975 6.538
angles: 109.21 109.21 114.05
Atoms (fractional coordinates):
La (0.055, 0.670, 0.906)
La (0.161, 0.257, 0.643)
La (0.257, 0.161, 0.143)
La (0.330, 0.945, 0.594)
La (0.670, 0.055, 0.406)
La (0.743, 0.839, 0.857)
La (0.839, 0.743, 0.357)
La (0.945, 0.330, 0.094)
Sb (0.384, 0.616, 0.250)
Sb (0.616, 0.384, 0.750)
C (0.070, 0.930, 0.250)
C (0.930, 0.070, 0.750)


Record 3
The following is a DFT calculation (PBE) of a relaxed SrHg2Te2 crystal.

V = 317.9 Å³ per cell
Offset from the most stable computed form = 0.100 eV/atom
Density = 7.8 g/cm³
Magnetization = 0.00 μB/f.u.
Symmetry = No. 127
E_tot = -2.225 eV per atom

abc: 8.626 8.626 4.272
angles: 90.00 90.00 90.00
Atoms (fractional coordinates):
Sr (0.000, 0.000, 0.000)
Sr (0.500, 0.500, 0.000)
Hg (0.111, 0.389, 0.000)
Hg (0.389, 0.889, 0.000)
Hg (0.611, 0.111, 0.000)
Hg (0.889, 0.611, 0.000)
Te (0.222, 0.722, 0.500)
Te (0.278, 0.222, 0.500)
Te (0.722, 0.778, 0.500)
Te (0.778, 0.278, 0.500)


Record 4
The following is a DFT calculation (PBE) of a relaxed Y12ThSc6 crystal.

V = 565.8 Å³ per cell
Density = 4.6 g/cm³
Magnetization = 0.00 μB/f.u.
Formation energy from the elements = 103 kJ/mol of formula units
Symmetry = No. 148
E_tot = -6.417 eV per atom

abc: 9.225 9.225 9.225
angles: 111.07 111.07 111.07
Atoms (fractional coordinates):
Y (0.069, 0.380, 0.584)
Y (0.102, 0.737, 0.156)
Y (0.156, 0.102, 0.737)
Y (0.263, 0.844, 0.898)
Y (0.380, 0.584, 0.069)
Y (0.416, 0.931, 0.620)
Y (0.584, 0.069, 0.380)
Y (0.620, 0.416, 0.931)
Y (0.737, 0.156, 0.102)
Y (0.844, 0.898, 0.263)
Y (0.898, 0.263, 0.844)
Y (0.931, 0.620, 0.416)
Th (0.000, 0.000, 0.000)
Sc (0.215, 0.467, 0.316)
Sc (0.316, 0.215, 0.467)
Sc (0.467, 0.316, 0.215)
Sc (0.533, 0.684, 0.785)
Sc (0.684, 0.785, 0.533)
Sc (0.785, 0.533, 0.684)


Record 5
The following is a DFT calculation (PBE) of a relaxed GdSiPt2 crystal.

V = 232.5 Å³ per cell
Density = 12.3 g/cm³
Magnetization = 7.11 μB/f.u.
Symmetry = No. 166
E_tot = -8.893 eV per atom

abc: 4.192 4.192 15.273
angles: 90.00 90.00 120.00
Atoms (fractional coordinates):
Gd (0.000, 0.000, 0.000)
Gd (0.333, 0.667, 0.667)
Gd (0.667, 0.333, 0.333)
Si (0.000, 0.000, 0.500)
Si (0.333, 0.667, 0.167)
Si (0.667, 0.333, 0.833)
Pt (0.000, 0.000, 0.211)
Pt (0.000, 0.000, 0.789)
Pt (0.333, 0.667, 0.456)
Pt (0.333, 0.667, 0.878)
Pt (0.667, 0.333, 0.122)
Pt (0.667, 0.333, 0.544)


Record 6
- - -
Here the page continues:


Compare and contrast the treatment of different religions by rulers of the Arab empire.